## File
'''
Starting from a crystal structure in Alexandria, relaxed with PBE, the X-ray diffraction stick pattern of LiCdIO4 was calculated for Cu Ka.

a b c (Å): 6.4081 6.4081 6.4081
angles (deg): 115.92 112.87 100.03
Fractional positions:
Li 0.0000 0.0000 0.0000
Li 0.5000 0.0000 0.5000
Cd 0.5000 0.0000 0.0000
Cd 0.5000 0.5000 0.5000
I 0.0546 0.3046 0.7500
I 0.9454 0.6954 0.2500
O 0.1973 0.2343 0.5371
O 0.1973 0.6602 0.9629
O 0.2697 0.2341 0.0356
O 0.3016 0.7659 0.5356
O 0.6984 0.2341 0.4644
O 0.7303 0.7659 0.9644
O 0.8027 0.3398 0.0371
O 0.8027 0.7657 0.4629

Peak list (10 most intense, 15° ≤ 2θ ≤ 90°, in order of rising 2θ)
two_theta	I/Imax
21.58	621
25.14	533
28.30	205
31.13	1000
33.36	230
43.79	94
44.30	308
48.20	367
51.59	108
58.24	162

=====

This entry pairs a crystal structure of SmRe4Si2 with its computed powder X-ray diffraction pattern. Radiation: copper Kα. Structure: DFT lattice parameters and positions (PBE).
Lines closer than 0.1° are merged.

Most intense lines, 2θ from 15° to 90°, by angle:
2θ (°)  I/Imax  h k l
16.82  36  1 1 0
27.34  56  1 1 1
34.50  100  2 1 1
38.17  66  3 1 0
40.53  99  2 2 1
43.59  44  0 0 2
44.17  55  3 1 1
50.47  22  4 1 0
59.30  37  3 1 2
66.64  33  5 0 1

Cell and atoms:
```
data_SmRe4Si2
_chemical_formula_sum 'Sm2 Re8 Si4'
_symmetry_space_group_name_H-M 'P 42/m n m'
_symmetry_Int_Tables_number 136
_symmetry_space_group_name_Hall '-P 4n 2n'
_cell_length_a 7.456
_cell_length_b 7.456
_cell_length_c 4.153
_cell_angle_alpha 90.00
_cell_angle_beta 90.00
_cell_angle_gamma 90.00
loop_
_atom_site_label
_atom_site_type_symbol
_atom_site_fract_x
_atom_site_fract_y
_atom_site_fract_z
_atom_site_occupancy
Sm1 Sm 0.000 0.000 0.000 1
Re1 Re 0.093 0.343 0.500 1
Si1 Si 0.209 0.791 0.500 1
```

This entry pairs a crystal structure of TiReSi with its computed powder X-ray diffraction pattern. Radiation: copper Kα. Structure: DFT lattice parameters and positions (PBE).
Lines closer than 0.1° are merged.

Most intense lines, 2θ from 15° to 90°, by angle:
2θ (°)  I/Imax  h k l
15.00  28  1 0 0
26.13  63  1 1 0
27.44  29  0 0 1
38.26  100  1 1 1
40.41  60  2 1 0
41.31  31  2 0 1
46.11  21  3 0 0
49.54  42  2 1 1
71.86  22  2 1 2
76.11  27  3 2 1

Cell and atoms:
```
data_TiReSi
_chemical_formula_sum 'Ti3 Re3 Si3'
_symmetry_space_group_name_H-M 'P -6 2 m'
_symmetry_Int_Tables_number 189
_symmetry_space_group_name_Hall 'P -6 -2'
_cell_length_a 6.8197
_cell_length_b 6.8197
_cell_length_c 3.2502
_cell_angle_alpha 90.00
_cell_angle_beta 90.00
_cell_angle_gamma 120.00
loop_
_atom_site_label
_atom_site_type_symbol
_atom_site_fract_x
_atom_site_fract_y
_atom_site_fract_z
_atom_site_occupancy
Ti1 Ti 0.0000 0.5959 0.0000 1
Re1 Re 0.0000 0.2630 0.5000 1
Si1 Si 0.0000 0.0000 0.0000 1
Si2 Si 0.3333 0.6667 0.5000 1
```

This entry pairs a crystal structure of Tm2Re3Si5 with its computed powder X-ray diffraction pattern. Radiation: copper Kα. Structure: DFT lattice parameters and positions (PBE).
Lines closer than 0.1° are merged.

Most intense lines, 2θ from 15° to 90°, by angle:
2θ (°)  I/Imax  h k l
25.69  94  3 1 0
30.48  86  3 1 1
34.64  41  1 1 2
36.63  81  4 2 0
37.57  100  4 1 1
40.24  70  2 2 2
44.48  42  4 3 1
46.83  43  4 4 0
48.35  36  3 3 2
61.53  51  7 0 1

Cell and atoms:
```
data_Tm2Re3Si5
_chemical_formula_sum 'Tm8 Re12 Si20'
_symmetry_space_group_name_H-M 'P 4/m n c'
_symmetry_Int_Tables_number 128
_symmetry_space_group_name_Hall '-P 4 2n'
_cell_length_a 10.966
_cell_length_b 10.966
_cell_length_c 5.495
_cell_angle_alpha 90.00
_cell_angle_beta 90.00
_cell_angle_gamma 90.00
loop_
_atom_site_label
_atom_site_type_symbol
_atom_site_fract_x
_atom_site_fract_y
_atom_site_fract_z
_atom_site_occupancy
Tm1 Tm 0.077 0.238 0.000 1
Re1 Re 0.000 0.500 0.250 1
Re2 Re 0.124 0.854 0.500 1
Si1 Si 0.000 0.000 0.240 1
Si2 Si 0.028 0.314 0.500 1
Si3 Si 0.173 0.673 0.250 1
```
'''
## What to do
Transcribe everything further up character by character.
## Response
Starting from a crystal structure in Alexandria, relaxed with PBE, the X-ray diffraction stick pattern of LiCdIO4 was calculated for Cu Ka.

a b c (Å): 6.4081 6.4081 6.4081
angles (deg): 115.92 112.87 100.03
Fractional positions:
Li 0.0000 0.0000 0.0000
Li 0.5000 0.0000 0.5000
Cd 0.5000 0.0000 0.0000
Cd 0.5000 0.5000 0.5000
I 0.0546 0.3046 0.7500
I 0.9454 0.6954 0.2500
O 0.1973 0.2343 0.5371
O 0.1973 0.6602 0.9629
O 0.2697 0.2341 0.0356
O 0.3016 0.7659 0.5356
O 0.6984 0.2341 0.4644
O 0.7303 0.7659 0.9644
O 0.8027 0.3398 0.0371
O 0.8027 0.7657 0.4629

Peak list (10 most intense, 15° ≤ 2θ ≤ 90°, in order of rising 2θ)
two_theta	I/Imax
21.58	621
25.14	533
28.30	205
31.13	1000
33.36	230
43.79	94
44.30	308
48.20	367
51.59	108
58.24	162

=====

This entry pairs a crystal structure of SmRe4Si2 with its computed powder X-ray diffraction pattern. Radiation: copper Kα. Structure: DFT lattice parameters and positions (PBE).
Lines closer than 0.1° are merged.

Most intense lines, 2θ from 15° to 90°, by angle:
2θ (°)  I/Imax  h k l
16.82  36  1 1 0
27.34  56  1 1 1
34.50  100  2 1 1
38.17  66  3 1 0
40.53  99  2 2 1
43.59  44  0 0 2
44.17  55  3 1 1
50.47  22  4 1 0
59.30  37  3 1 2
66.64  33  5 0 1

Cell and atoms:
```
data_SmRe4Si2
_chemical_formula_sum 'Sm2 Re8 Si4'
_symmetry_space_group_name_H-M 'P 42/m n m'
_symmetry_Int_Tables_number 136
_symmetry_space_group_name_Hall '-P 4n 2n'
_cell_length_a 7.456
_cell_length_b 7.456
_cell_length_c 4.153
_cell_angle_alpha 90.00
_cell_angle_beta 90.00
_cell_angle_gamma 90.00
loop_
_atom_site_label
_atom_site_type_symbol
_atom_site_fract_x
_atom_site_fract_y
_atom_site_fract_z
_atom_site_occupancy
Sm1 Sm 0.000 0.000 0.000 1
Re1 Re 0.093 0.343 0.500 1
Si1 Si 0.209 0.791 0.500 1
```

This entry pairs a crystal structure of TiReSi with its computed powder X-ray diffraction pattern. Radiation: copper Kα. Structure: DFT lattice parameters and positions (PBE).
Lines closer than 0.1° are merged.

Most intense lines, 2θ from 15° to 90°, by angle:
2θ (°)  I/Imax  h k l
15.00  28  1 0 0
26.13  63  1 1 0
27.44  29  0 0 1
38.26  100  1 1 1
40.41  60  2 1 0
41.31  31  2 0 1
46.11  21  3 0 0
49.54  42  2 1 1
71.86  22  2 1 2
76.11  27  3 2 1

Cell and atoms:
```
data_TiReSi
_chemical_formula_sum 'Ti3 Re3 Si3'
_symmetry_space_group_name_H-M 'P -6 2 m'
_symmetry_Int_Tables_number 189
_symmetry_space_group_name_Hall 'P -6 -2'
_cell_length_a 6.8197
_cell_length_b 6.8197
_cell_length_c 3.2502
_cell_angle_alpha 90.00
_cell_angle_beta 90.00
_cell_angle_gamma 120.00
loop_
_atom_site_label
_atom_site_type_symbol
_atom_site_fract_x
_atom_site_fract_y
_atom_site_fract_z
_atom_site_occupancy
Ti1 Ti 0.0000 0.5959 0.0000 1
Re1 Re 0.0000 0.2630 0.5000 1
Si1 Si 0.0000 0.0000 0.0000 1
Si2 Si 0.3333 0.6667 0.5000 1
```

This entry pairs a crystal structure of Tm2Re3Si5 with its computed powder X-ray diffraction pattern. Radiation: copper Kα. Structure: DFT lattice parameters and positions (PBE).
Lines closer than 0.1° are merged.

Most intense lines, 2θ from 15° to 90°, by angle:
2θ (°)  I/Imax  h k l
25.69  94  3 1 0
30.48  86  3 1 1
34.64  41  1 1 2
36.63  81  4 2 0
37.57  100  4 1 1
40.24  70  2 2 2
44.48  42  4 3 1
46.83  43  4 4 0
48.35  36  3 3 2
61.53  51  7 0 1

Cell and atoms:
```
data_Tm2Re3Si5
_chemical_formula_sum 'Tm8 Re12 Si20'
_symmetry_space_group_name_H-M 'P 4/m n c'
_symmetry_Int_Tables_number 128
_symmetry_space_group_name_Hall '-P 4 2n'
_cell_length_a 10.966
_cell_length_b 10.966
_cell_length_c 5.495
_cell_angle_alpha 90.00
_cell_angle_beta 90.00
_cell_angle_gamma 90.00
loop_
_atom_site_label
_atom_site_type_symbol
_atom_site_fract_x
_atom_site_fract_y
_atom_site_fract_z
_atom_site_occupancy
Tm1 Tm 0.077 0.238 0.000 1
Re1 Re 0.000 0.500 0.250 1
Re2 Re 0.124 0.854 0.500 1
Si1 Si 0.000 0.000 0.240 1
Si2 Si 0.028 0.314 0.500 1
Si3 Si 0.173 0.673 0.250 1
```